Summit For Clinical Ops Executives

Adaptive Clinical was pleased to be a Corporate Sponsor of SCOPE 2022. The conference kicked off with some 1,600 professionals from clinical development gathered onsite for this year’s annual meeting in Florida, and another four hundred virtually.
A theme reinforced at the conference is the importance of interoperability to ensure the success of decentralized clinical trials (DCTs) and hybrid trials. Many of the speakers touched on the challenges of DCTs, internal data initiatives, the need for planning as well as the need to use new types of devices to reach under-represented communities. Adaptive Clinical has experience with each of these challenges.
At Adaptive Clinical, we have seen the impact of inadequate upfront planning, and we have great resources, flexibility, and knowledge that we bring to our assignments to help eliminate these challenges. We are an enabler for DCTs. We already partner with leaders in the extensive DCT ecosystem. We understand the difficulty of change. We manage our part of the process, easing the burden on our partners.
Here are some of the highlights that we enjoyed from SCOPE2022:

Challenges of DCTs

The opening, Fireside Chat: Fit-for-Future Data Operations in a Post-Pandemic World, featured speakers from Pfizer, Janssen and Regeneron. This panel shared how the industry accelerated change during the fight against COVID. They shared insights on the importance of flexibility and how the focus on a common enemy, COVID, accelerated change and collaboration. These speakers discussed the importance of pre-planning and the importance of a hard, fast focus to move quickly and efficiently.
Demetris Zambas | Pfizer
     VP and Global Head Data Monitoring and Management
Darren Weston | Janssen
    Sr. Vice President Head of Integrated Data Analytics and Reportingg
Cynthia Pan | Regeneron
    Senior Director Program Operations Leader
In summary, the speakers from this session offered a candid look back on the change that took place within the industry and within their respective companies as we struggled to respond to the COVID-19 pandemic.
Regeneron developed a protocol in only 7 days when they realized one of their drugs had the potential to be a beneficial COVID treatment. Regeneron had to embrace remote options for SDV, when prior to COVID there was much resistance to this. By embracing 100 percent remote monitoring, the company developed close partnerships with CROs and improved integration with them to a true integrated operational structure. Pan said, “I am in awe of the human collaboration at Regeneron. Ownership and accountability were critical for each study.”
Pfizer prepared for the unfamiliar environment and assembled specialty teams. COVID changed paradigms and caused the industry to become more willing to embrace risk, for example around remote monitoring. COVID changed the risk-reward equation and created new internal pressures to move faster. In accordance with their business continuity processes, Pfizer paused some studies and tested their processes. Zambas noted that “this was the ultimate test of processes. The paradigm forced embracing new approaches.”
Janssen worked quickly to become virtual and maintained a clear focus on what is important. The company was able to create change and manage planning virtually. The company changed from 30% remote/70% on site to 70%/30%. At Janssen, the team focused on business continuity, safety and working with global cross functional teams to keep programs going. Weston said, “Collectively sharing all knowledge to make large and small decisions. The Central team challenged to make standards changes and had all key decision makers present to collaborate.”

_The entry is interrupted by records of molecules_
********
The following is a DFT calculation (ωB97M-V with the def2-TZVPD basis set) of a structure of composition C35H37CuIP2.

Element x y z (Å)
Cu -0.12599 0.48065 2.22419
C -1.69898 0.88971 -2.80327
C -1.80279 -0.42947 -2.63969
C -1.16040 -1.44361 -3.53654
C 0.25720 -1.12470 -4.10175
C 1.18147 -0.24032 -3.31803
C 1.18835 1.09684 -3.27549
C 0.26452 1.99820 -4.03115
C -1.19845 1.52523 -4.07011
C 0.84876 -0.20823 3.80319
H -2.06481 1.59888 -2.05671
H -2.48548 -0.84372 -1.89400
H -1.80552 -1.61085 -4.41732
H -1.11678 -2.40686 -3.00430
H 0.77338 -2.09689 -4.20294
H 0.14272 -0.72887 -5.12102
H 2.02745 -0.78133 -2.88558
H 2.00362 1.63607 -2.79618
H 0.60713 2.10689 -5.07674
H 0.31569 2.99650 -3.56929
H -1.81993 2.41197 -4.27290
H -1.32400 0.84408 -4.92355
H 0.84210 0.62486 4.51301
H 1.86933 -0.57689 3.64089
H 0.18926 -1.00694 4.15565
P -1.53437 -0.57099 0.90672
P 1.79311 0.09908 1.18980
C -0.26277 -1.10433 -0.23854
C 1.04365 -0.67834 -0.23202
C -2.44513 -2.03914 1.39650
C -2.83011 -2.99502 0.43831
C -3.52206 -4.13650 0.85318
C -3.80101 -4.34237 2.20874
C -3.40928 -3.39023 3.15946
C -2.73574 -2.23749 2.76383
C -2.76761 0.67954 0.41521
C -2.35427 2.01740 0.20233
C -3.28585 3.05054 0.15126
C -4.65148 2.77640 0.27165
C -5.07411 1.45137 0.41100
C -4.14826 0.40902 0.47205
C 3.21314 -0.97790 1.49796
C 2.98366 -2.30063 1.93307
C 4.06375 -3.09785 2.30267
C 5.37230 -2.61114 2.17101
C 5.60095 -1.34315 1.62041
C 4.52513 -0.53386 1.25900
C 2.46028 1.74786 0.84717
C 2.52704 2.68065 1.90101
C 2.91805 3.99150 1.63934
C 3.20121 4.38045 0.32238
C 3.16794 3.44484 -0.72075
C 2.86008 2.11221 -0.44397
H -0.55182 -1.93780 -0.88237
H 1.74523 -0.97933 -1.01157
H -2.57289 -2.85602 -0.61208
H -3.82686 -4.87695 0.11498
H -4.31514 -5.25018 2.52778
H -3.61710 -3.55589 4.21598
H -2.41261 -1.49344 3.49585
H -1.29164 2.25805 0.13786
H -2.93909 4.08020 0.06113
H -5.37815 3.59109 0.26209
H -6.13667 1.22788 0.50965
H -4.49048 -0.61827 0.61513
H 1.96045 -2.68404 1.98464
H 3.88328 -4.10086 2.69493
H 6.21595 -3.22985 2.47785
H 6.61940 -0.97910 1.47026
H 4.69015 0.44203 0.79333
H 2.25190 2.36745 2.90953
H 2.98933 4.70306 2.46472
H 3.45368 5.42053 0.11411
H 3.38627 3.75479 -1.74787
H 2.92630 1.34161 -1.21389
I -1.40564 2.18194 3.57877

frontier orbital gap (spin up / spin down) = 6.2 / 6.9 eV
energy = -3976.6439 Ha
E_LUMO (spin up / spin down) = -0.08 / -0.25 eV
2S+1 = 2
HOMO energy (spin up / spin down) = -0.232 / -0.263 Eh

Löwdin population analysis, charges in e, atoms 1 to 6: -0.37 -0.09 -0.14 -0.19 -0.18 -0.13


The following is a DFT calculation (ωB97M-V/def2-TZVPD) of 2 unconnected molecules or ions with the total composition CH2O2S at a distorted geometry.

```
6
Properties=species:S:1:pos:R:3:forces:R:3
O 1.43200 -1.18054 -0.00436 0.3 1.4 0.3
C 1.72775 -0.05236 0.06408 -0.7 -2.8 -0.5
S 2.16390 1.41715 0.05171 0.3 1.3 0.2
O -1.41507 0.08518 0.07730 3.4 -2.7 -0.3
H -2.20310 0.50170 0.07686 -4.0 2.9 0.2
H -1.70548 -0.77113 -0.26559 0.7 -0.2 0.1
```
Positions in Å, forces in eV/Å.
********
_The entry goes on_

Operationalizing DCTs

In the session, Practical Approaches for Operationalizing DCTs, Kyle Hogan, EVP Strategy for Datacubed Health, stressed the importance of something we encounter often: the need for extensive planning in all three phases of a trial, including:
Pre-implementation considerations
Implementation considerations
Post-implementation considerations
Hogan stressed the need for flexibility. There will always be outliers and exceptions and there are no one-size-fits-all solutions. Not all patients will be able to provide data the same way. You must have a plan to deal with outliers. Sites need to be prepared to use technology, and issues will arise including things as seemingly simple as passwords. When thinking translations, recognize there will be more need than just standard American English. Again, the key is thorough and detailed upfront planning, with the recognition that you need to build in flexibility.
In the panel discussion, Perspectives on EU MDR – How Companies are Approaching Compliance, the speakers focused on the great work being done in medical devices with EUDAMED and the EU MDR regulatory evolution. Process, lifecycle, and data harmonization will accelerate new and better solutions for patients!
In the presentation, “What is next in DCTs?”, speaker, Joe Dustin, VP Product Strategy at Medable said that he saw the advent of DCTs as the beginning of the next generation platform. Over his tenured career in pharma, he noted that innovation is about change management. It is hard. You cannot prove ROI in the middle of the innovation. It must be a mindset that comes from above and is enforced. It will not just happen. The pharma blockers are the study teams. They are totally focused on their drug, and getting it launched. Dustin recommended that going forward, partner with vendors to develop the new ecosystem.

Recognizing Excellence

........
Molecular formula: C34H65FN16O30PS2
Method: DFT, wB97M-V/def2-TZVPD

Structure (XYZ):
```
149
C34H65FN16O30PS2 (wB97M-V/def2-TZVPD)
C -4.76647 4.29649 -2.38215
C -4.61672 5.24191 -1.15184
O -5.59208 5.59420 -0.59760
O -3.31864 5.67940 -0.78671
C -2.79774 5.00477 0.32901
O -3.48540 4.82346 1.26898
C -1.29066 4.60299 0.23241
N -1.02965 3.17460 -0.09462
C -1.17979 2.86664 -1.33716
F -1.56104 3.60566 -2.33877
C -0.80319 1.36779 -1.46569
C 0.48965 1.02779 -2.30358
C 0.28115 -0.20259 -3.25147
O 0.57991 -0.06996 -4.41517
N -0.28536 -1.43402 -2.79756
C 0.80627 -2.35102 -2.35898
C -1.07639 -2.10401 -3.85186
C -0.97563 0.71627 0.01396
N -0.04084 -0.40835 -0.07621
C 0.08192 -1.16712 0.95944
C -0.92335 -1.47852 2.09505
C 1.42610 -1.95878 1.06657
P -2.83552 0.32704 -0.07393
S -3.99059 1.86486 0.23022
C -0.52386 2.05766 0.78514
C 1.02657 2.41309 0.75591
C 1.96293 1.44709 1.54108
S 3.51905 2.42671 1.85128
C 4.67159 1.80129 0.59729
N 5.70403 0.98909 0.72103
N 6.15983 0.84485 -0.56521
C 5.41498 1.53970 -1.38351
O 4.41564 2.20383 -0.68879
C -1.04021 1.97595 2.25581
C -0.79766 3.23126 3.13763
O 0.25228 3.64609 3.51262
O -1.96778 3.90985 3.57862
C -2.24374 3.30544 4.84037
C -1.67946 3.93229 6.15916
O -2.89479 2.31887 4.93985
H -5.85868 4.18090 -2.57309
H -4.30307 4.73826 -3.30346
H -4.32630 3.28826 -2.21670
H -0.86633 5.19792 -0.61914
H -0.72716 4.97048 1.12755
H -1.60637 0.99623 -2.16858
H 1.42375 0.96349 -1.70309
H 0.64427 1.89587 -3.00018
H 1.30000 -2.81541 -3.24521
H 0.34331 -3.09447 -1.67224
H 1.56007 -1.71731 -1.82874
H -0.43276 -2.56247 -4.64470
H -1.59138 -2.97187 -3.36074
H -1.88901 -1.46550 -4.26948
H -1.64098 -0.67231 2.34632
H -1.42862 -2.44247 1.83531
H -0.32249 -1.69645 3.01823
H 1.99741 -1.44251 1.88390
H 1.27026 -3.01314 1.37238
H 2.02735 -1.82690 0.14354
H -3.22555 -0.69070 0.83911
H -3.15852 -0.19475 -1.36878
H 1.42438 2.51683 -0.27716
H 1.08303 3.43891 1.21003
H 2.26630 0.62272 0.86426
H 1.61522 1.12573 2.54311
H 5.43528 1.66144 -2.47606
H -0.48172 1.14080 2.75379
H -2.11920 1.70611 2.35723
H -2.25445 4.86239 6.37529
H -0.58970 4.13241 6.03554
H -1.80745 3.25232 7.02576
C -1.83326 -4.50912 -7.91524
N -2.29095 -4.43165 -6.50539
O -1.44946 -4.56334 -5.63060
O -3.47472 -4.23798 -6.31791
H -0.76215 -4.68154 -7.92447
H -2.36351 -5.33546 -8.39171
H -2.07499 -3.56685 -8.38616
C 2.49281 7.04774 3.05751
N 2.55660 6.25342 1.80099
O 3.64294 6.08612 1.29537
O 1.49565 5.81890 1.36165
H 3.49282 7.36121 3.32294
H 1.85599 7.90870 2.86937
H 2.07139 6.40525 3.82874
C 3.66957 3.20074 5.15570
N 3.77127 4.14594 6.29992
O 4.01152 3.67936 7.39397
O 3.60379 5.32651 6.05121
H 3.83876 2.19116 5.51858
H 2.66894 3.29858 4.73770
H 4.42881 3.48189 4.43080
C 5.51166 10.53814 5.28781
N 5.04866 9.63191 4.20297
O 5.85889 9.29978 3.36413
O 3.87989 9.28538 4.23503
H 6.56273 10.76009 5.13109
H 4.91282 11.44432 5.23546
H 5.36188 10.02097 6.23267
C 0.52743 -4.09193 5.36093
N 1.39366 -4.09301 4.14641
O 1.66466 -5.16613 3.64703
O 1.77188 -3.00857 3.73129
H 0.27338 -5.11566 5.60536
........

The sixth annual Participant Engagement Awards: At this session, nominees with novel and innovative approaches to clinical trial execution present the advancements they’ve developed over the past year.  The first-place award was presented to Merck, followed by Guardant, and then to Tryl. Five nominees were chosen from many applicants:
1. Infiuss Health – serving global representation in patient recruitment throughout the continent of Africa. By creating a pre-enrollment database, they are able to find target populations in 60 minutes with 98% accuracy.
2. Guardant – helping to expediently match patients with advanced cancers with clinical trials for which they may be suited. With a process that is free to the patients, Guardant’s GAP program can identify 45% of patients needed for complex protocols within one week and follow through with a notification to the patient’s physician.
3. InVibe – using natural language processing combined with expert analysis, InVibe assists sponsors to develop better communication vehicles in the voice of the patient. They also are developing tools to assess degradation in the patients’ voice, a potential biomarker in categories including Parkinson’s and autism.
4. Merck – recognizing the need to engage, recruit, and keep children enrolled in pediatric studies, Merck is developing programs using Virtual Reality headsets designed for this purpose. By creating VR patent journeys using this technology, they are also able to access more juvenile populations and be more inclusive in the overall recruitment process.
5. Tryl – taking a nod from sports consumer loyalty engagement, Tryl is reinventing the wheel in clinical trial patient retention. By applying social proof for intrinsic health as a motivator, Tryl is targeting the patient journey in high dropout therapeutic areas such as dermatology ad oncology.


For more information on our lastest learnings regarding Interoperability, RWD, Remote Patient Monitoring and Electronic Health Records, check out these recent programs:

Check out our most recent blog on Creating Interoperability in Clinical Trials.
Check out latest white paper about incorporating EHR into clinical trials.
See our Roadmap to Interoperability.
See our latest Webinar on RWD and RWE!